Your job: find "0.852 (multiplicity" and "0.242 (multiplicity" in the entries underneath, and quote these two lines and those between.

+++
DFT (PBE-GGA) results for an optimized crystal structure of Na2Y2Nb6Si7S5O48.

Properties
- calculated formation energy (eV/atom) = -2.79
- total energy (eV per atom) = -7.636

Cell: 9.005 15.467 23.340 Å, 89.97 89.96 89.96°
Space group P1 (No. 1)
Symmetry-distinct sites (fractional):
1 Na 0.000 0.000 0.000 (multiplicity 1)
2 Na 0.000 0.010 0.494 (multiplicity 1)
3 Na 0.474 0.508 0.002 (multiplicity 1)
4 Na 0.475 0.499 0.494 (multiplicity 1)
5 Na 0.482 0.170 0.655 (multiplicity 1)
6 Na 0.982 0.669 0.159 (multiplicity 1)
7 Y 0.006 0.673 0.019 (multiplicity 1)
8 Y 0.469 0.174 0.517 (multiplicity 1)
9 Y 0.490 0.509 0.641 (multiplicity 1)
10 Y 0.497 0.169 0.814 (multiplicity 1)
11 Y 0.970 0.667 0.310 (multiplicity 1)
12 Y 0.986 0.008 0.141 (multiplicity 1)
13 Nb 0.006 0.337 0.472 (multiplicity 1)
14 Nb 0.470 0.838 0.974 (multiplicity 1)
15 Nb 0.481 0.174 0.307 (multiplicity 1)
16 Nb 0.485 0.853 0.471 (multiplicity 1)
17 Nb 0.487 0.842 0.684 (multiplicity 1)
18 Nb 0.487 0.844 0.187 (multiplicity 1)
19 Nb 0.494 0.174 0.021 (multiplicity 1)
20 Nb 0.497 0.502 0.137 (multiplicity 1)
21 Nb 0.501 0.497 0.853 (multiplicity 1)
22 Nb 0.513 0.506 0.349 (multiplicity 1)
23 Nb 0.971 0.004 0.852 (multiplicity 1)
24 Nb 0.976 0.997 0.351 (multiplicity 1)
25 Nb 0.983 0.674 0.519 (multiplicity 1)
26 Nb 0.985 0.998 0.635 (multiplicity 1)
27 Nb 0.991 0.344 0.185 (multiplicity 1)
28 Nb 0.991 0.354 0.972 (multiplicity 1)
29 Nb 0.992 0.351 0.682 (multiplicity 1)
30 Nb 0.993 0.673 0.807 (multiplicity 1)
31 Si 0.125 0.197 0.583 (multiplicity 1)
32 Si 0.130 0.818 0.912 (multiplicity 1)
33 Si 0.134 0.485 0.575 (multiplicity 1)
34 Si 0.140 0.531 0.910 (multiplicity 1)
35 Si 0.209 0.835 0.579 (multiplicity 1)
36 Si 0.269 0.338 0.079 (multiplicity 1)
37 Si 0.335 0.031 0.410 (multiplicity 1)
38 Si 0.343 0.983 0.078 (multiplicity 1)
39 Si 0.349 0.322 0.411 (multiplicity 1)
40 Si 0.350 0.697 0.082 (multiplicity 1)
41 Si 0.627 0.650 0.242 (multiplicity 1)
42 Si 0.628 0.984 0.580 (multiplicity 1)
43 Si 0.630 0.025 0.916 (multiplicity 1)
44 Si 0.634 0.361 0.244 (multiplicity 1)
45 Si 0.638 0.314 0.915 (multiplicity 1)
46 Si 0.696 0.008 0.245 (multiplicity 1)
47 Si 0.779 0.507 0.746 (multiplicity 1)
48 Si 0.839 0.816 0.415 (multiplicity 1)
49 Si 0.843 0.862 0.745 (multiplicity 1)
50 Si 0.844 0.525 0.416 (multiplicity 1)
51 Si 0.846 0.485 0.081 (multiplicity 1)
52 S 0.132 0.153 0.248 (multiplicity 1)
53 S 0.138 0.862 0.246 (multiplicity 1)
54 S 0.193 0.172 0.915 (multiplicity 1)
55 S 0.207 0.504 0.243 (multiplicity 1)
56 S 0.270 0.005 0.743 (multiplicity 1)
57 S 0.281 0.673 0.416 (multiplicity 1)
58 S 0.338 0.361 0.746 (multiplicity 1)
59 S 0.343 0.653 0.748 (multiplicity 1)
60 S 0.632 0.702 0.577 (multiplicity 1)
61 S 0.696 0.672 0.910 (multiplicity 1)
62 S 0.710 0.339 0.579 (multiplicity 1)
63 S 0.765 0.840 0.079 (multiplicity 1)
64 S 0.781 0.172 0.410 (multiplicity 1)
65 S 0.845 0.201 0.077 (multiplicity 1)
66 S 0.853 0.149 0.742 (multiplicity 1)
67 O 0.044 0.791 0.968 (multiplicity 1)
68 O 0.047 0.100 0.593 (multiplicity 1)
69 O 0.048 0.577 0.566 (multiplicity 1)
70 O 0.055 0.239 0.524 (multiplicity 1)
71 O 0.062 0.239 0.240 (multiplicity 1)
72 O 0.062 0.440 0.635 (multiplicity 1)
73 O 0.062 0.579 0.855 (multiplicity 1)
74 O 0.064 0.110 0.297 (multiplicity 1)
75 O 0.066 0.433 0.918 (multiplicity 1)
76 O 0.072 0.918 0.893 (multiplicity 1)
77 O 0.073 0.901 0.195 (multiplicity 1)
78 O 0.075 0.259 0.638 (multiplicity 1)
79 O 0.081 0.774 0.253 (multiplicity 1)
80 O 0.091 0.419 0.523 (multiplicity 1)
81 O 0.092 0.246 0.927 (multiplicity 1)
82 O 0.092 0.756 0.857 (multiplicity 1)
83 O 0.096 0.094 0.906 (multiplicity 1)
84 O 0.099 0.915 0.298 (multiplicity 1)
85 O 0.101 0.753 0.567 (multiplicity 1)
86 O 0.104 0.923 0.589 (multiplicity 1)
87 O 0.108 0.424 0.236 (multiplicity 1)
88 O 0.110 0.580 0.246 (multiplicity 1)
89 O 0.118 0.102 0.195 (multiplicity 1)
90 O 0.132 0.583 0.968 (multiplicity 1)
91 O 0.159 0.015 0.393 (multiplicity 1)
+++

23 Nb 0.971 0.004 0.852 (multiplicity 1)
24 Nb 0.976 0.997 0.351 (multiplicity 1)
25 Nb 0.983 0.674 0.519 (multiplicity 1)
26 Nb 0.985 0.998 0.635 (multiplicity 1)
27 Nb 0.991 0.344 0.185 (multiplicity 1)
28 Nb 0.991 0.354 0.972 (multiplicity 1)
29 Nb 0.992 0.351 0.682 (multiplicity 1)
30 Nb 0.993 0.673 0.807 (multiplicity 1)
31 Si 0.125 0.197 0.583 (multiplicity 1)
32 Si 0.130 0.818 0.912 (multiplicity 1)
33 Si 0.134 0.485 0.575 (multiplicity 1)
34 Si 0.140 0.531 0.910 (multiplicity 1)
35 Si 0.209 0.835 0.579 (multiplicity 1)
36 Si 0.269 0.338 0.079 (multiplicity 1)
37 Si 0.335 0.031 0.410 (multiplicity 1)
38 Si 0.343 0.983 0.078 (multiplicity 1)
39 Si 0.349 0.322 0.411 (multiplicity 1)
40 Si 0.350 0.697 0.082 (multiplicity 1)
41 Si 0.627 0.650 0.242 (multiplicity 1)